
Monday, February 02, 2009

TOP STORY>>Jacksonville mayoral race more crowded

Leader executive editor

Saying the passion for governing has long been absent from city hall, veteran Jacksonville Alderman Gary Fletcher has announced he is running for mayor.

Mayor Tommy Swaim told the city council two weeks ago that he would resign July 1 with 18 months left in his term. The council will set the date next week for a special election.

== Crystal structures from another source follow ==
┌──
1.
{
  "formula": "PrTm2Zn3CdIn2",
  "functional": "PBE",
  "state": "optimized geometry",
  "final_energy_ev_per_cell": -27.02,
  "vol_a3_per_fu": 206.4,
  "lattice_angstrom": [[4.607, 0.000, 0.000], [0.000, 6.312, 3.549], [0.000, -6.312, 3.549]],
  "species": ["Pr", "Tm", "Tm", "Zn", "Zn", "Zn", "Cd", "In", "In"],
  "frac_coords": [[0.000, 0.000, 0.000], [0.000, 0.145, 0.577], [0.000, 0.577, 0.145], [0.500, 0.337, 0.337], [0.500, 0.572, 0.804], [0.500, 0.804, 0.572], [0.000, 0.557, 0.557], [0.500, 0.247, 0.904], [0.500, 0.904, 0.247]]
}

2.
{
  "formula": "Cd2InPt",
  "functional": "PBE",
  "state": "optimized geometry",
  "final_energy_ev_per_cell": -11.02,
  "vol_a3_per_fu": 78.2,
  "lattice_angstrom": [[0.000, 3.394, 3.394], [3.394, 0.000, 3.394], [3.394, 3.394, 0.000]],
  "species": ["Cd", "Cd", "In", "Pt"],
  "frac_coords": [[0.000, 0.000, 0.000], [0.250, 0.250, 0.250], [0.500, 0.500, 0.500], [0.750, 0.750, 0.750]]
}
└──

Kenny Elliott, another longtime alderman, has also said he is running for mayor, as has Randy (Doc) Rhodd of Motorcyle Ministry. Banker Donny Farmer is also said to be considering a race.

Fletcher, who has been on the city council for 30 years, says he’s ready to become mayor.

“I want to bring passion to the job,” said Fletcher, who is 54. “We’ve lost that passion when it comes to running the city.

“I want to bring back the human factor to government,” Fletcher said in an interview. “We need to make some changes. We need someone with fresh ideas. We need someone with passion, energy and vision and try to inspire others.”

Fletcher said he believes in the three R’s to move forward — “re-identify ourselves, reinvest in ourselves and rejuvenate the community.”

**These materials data were left in the entry by mistake**
~~~
Record 1
## Mn2SiAs (GGA-PBE)

Data for Mn2SiAs after structural relaxation.

Results
- SG: No. 12
- Formation energy without anion corrections: 0.07 eV/f.u.
- DOS at the Fermi energy: 0.8402 states/eV/atom

a = 7.7564 Å, b = 3.0199 Å, c = 4.5744 Å
α = 90.00°, β = 100.28°, γ = 90.00°
With the nearest neighbours (Å) after each atom.
Fractional coordinates of all 8 atoms:
Mn  0.2485  0.0000  0.2429  3 Si 2.41-2.54, 3 As 2.43-2.58, 2 Mn 2.69
Mn  0.2515  0.5000  0.7571  3 Si 2.41-2.54, 3 As 2.43-2.58, 2 Mn 2.69
Mn  0.7485  0.5000  0.2429  3 Si 2.41-2.54, 3 As 2.43-2.58, 2 Mn 2.69
Mn  0.7515  0.0000  0.7571  3 Si 2.41-2.54, 3 As 2.43-2.58, 2 Mn 2.69
Si  0.0000  0.5000  0.0000  6 Mn 2.41-2.54
Si  0.5000  0.0000  0.0000  6 Mn 2.41-2.54
As  0.0000  0.0000  0.5000  6 Mn 2.43-2.58
As  0.5000  0.5000  0.5000  6 Mn 2.43-2.58


Record 2
## Ba3ZrV (GGA-PBE)

Data for Ba3ZrV after structural relaxation.

Results
- Relative energy among the computed polymorphs: 0.000 eV per atom
- SG: No. 221
- DOS at the Fermi energy: 2.9677 states/eV/atom

a = 6.1051 Å, b = 6.1051 Å, c = 6.1051 Å
α = 90.00°, β = 90.00°, γ = 90.00°
With the nearest neighbours (Å) after each atom.
Fractional coordinates of all 5 atoms:
Ba  0.0000  0.0000  0.5000  2 V 3.05
Ba  0.0000  0.5000  0.0000  2 V 3.05
Ba  0.5000  0.0000  0.0000  2 V 3.05
Zr  0.5000  0.5000  0.5000  12 Ba 4.32
V  0.0000  0.0000  0.0000  6 Ba 3.05


Record 3
## InCu6 (GGA-PBE)

Data for InCu6 after structural relaxation.

Results
- Relative energy among the computed polymorphs: 0.640 eV per atom
- SG: No. 229
- DOS at the Fermi energy: 0.3681 states/eV/atom

a = 6.5110 Å, b = 6.5110 Å, c = 6.5110 Å
α = 90.00°, β = 90.00°, γ = 90.00°
With the nearest neighbours (Å) after each atom.
Fractional coordinates of all 14 atoms:
In  0.0000  0.0000  0.0000  24 Cu 3.64
In  0.5000  0.5000  0.5000  24 Cu 3.64
Cu  0.0000  0.2500  0.5000  4 Cu 2.30
Cu  0.0000  0.5000  0.2500  4 Cu 2.30
Cu  0.0000  0.5000  0.7500  4 Cu 2.30
Cu  0.0000  0.7500  0.5000  4 Cu 2.30
Cu  0.2500  0.0000  0.5000  4 Cu 2.30
Cu  0.2500  0.5000  0.0000  4 Cu 2.30
Cu  0.5000  0.0000  0.2500  4 Cu 2.30
Cu  0.5000  0.0000  0.7500  4 Cu 2.30
Cu  0.5000  0.2500  0.0000  4 Cu 2.30
Cu  0.5000  0.7500  0.0000  4 Cu 2.30
Cu  0.7500  0.0000  0.5000  4 Cu 2.30
Cu  0.7500  0.5000  0.0000  4 Cu 2.30


Record 4
## Tb2NdAgHg4 (GGA-PBE)

Data for Tb2NdAgHg4 after structural relaxation.

Results
- E_tot: -21.16 eV/cell
- SG: No. 166
- DOS at the Fermi energy: 0.8111 states/eV/atom

a = 9.4678 Å, b = 9.4678 Å, c = 9.4678 Å
α = 31.25°, β = 31.25°, γ = 31.25°
With the nearest neighbours (Å) after each atom.
Fractional coordinates of all 8 atoms:
Tb  0.2393  0.2393  0.2393  7 Hg 3.06-3.21
Tb  0.7607  0.7607  0.7607  7 Hg 3.06-3.21
Nd  0.0000  0.0000  0.0000  8 Hg 3.20-3.38
Ag  0.5000  0.5000  0.5000  8 Hg 3.15-3.25
Hg  0.1251  0.1251  0.1251  4 Tb 3.06-3.08, 3 Ag 3.15, 1 Nd 3.38
Hg  0.3797  0.3797  0.3797  3 Nd 3.20, 3 Tb 3.21, 1 Ag 3.25
~~~

He said his platform includes annexing land to Jacksonville wherever possible, improving housing, reducing crime, reinvigorating downtown, ensuring the future of the city’s hospital, bringing new industry to the city, rehabilitating the Sunnyside neighborhood and considering reopening the Graham Road railroad crossing, whose closing has divided the city.

He also supports an independent school district for Jacksonville and more investment in the city’s infrastructure. He’s hoping the federal economic-stimulus plan will help pay for improvements in the city.

“I will appoint a citizens advisory board on where the people want to go,” Fletcher said.

“I’ve always been interested in politics. I went to my first city council meeting when I was 17, when John Harden was mayor. I ran for alderman when I was 19 in 1974 and in 1976 and lost both times, but I won in 1978 and have been on the council ever since.”

Fletcher, who is a homebuilder, ran unsuccessfully for mayor in 1982 and 1986. He has been re-elected to the city council 14 times.

Fletcher wants to see new housing to replace the city’s older homes, which attract more renters than the new ones. About half the city’s residential properties are rented.

The candidate says the city’s industrial zone in underutilized.

“We have the best industrial area,” Fletcher said. “Industry is still interested in staying in the U.S. The city needs to pick up the ball in the recruiting area.”

He said he’s concerned about the new management at North Metro Medical Center. Allegiance Health of Shreveport, La., has signed a long-term contract to manage the troubled hospital.

“The contract with Allegiance may not be the solution to our problem,” Fletcher said.

He was born in Little Rock and moved to Jacksonville with his family in 1968. He was the first Jacksonville Jaycee to join at the age of 18 and was named Jaycee of the year in 1975. He is also a former president of the Jaycees.

Fletcher was also named Out-standing Young Man of America in 1976 and 1984, Noteworthy American Leader, Jacksonville Chamber of Commerce Citizen of the Year, and Arkansas Home-builder of the Year.

He is an active member of Second Baptist Church of Jacksonville and has a diploma in Christian ministry from Southern Baptist Theological Seminary in Louisville.
Fletcher is married to the former Glenda Kyzer, and they have two children, Ray and Autumn, and five grandchildren.

“I’m not going to run my campaign on negatives,” Fletcher said. “Jacksonville was the fastest-growing community in the state in the 1960s and 1970s. We’d like to see it come back.”